┌──
# CuSiH

A relaxed structure of CuSiH (PBE-GGA, Alexandria via LeMat-Bulk).

Total DFT energy (no corrections), eV per cell: -24.53
DOS(E_F), states/eV per atom: 0.3836

Unit cell a=2.429 b=3.849 c=9.608 alpha=78.66 beta=83.20 gamma=89.97
Fractional coordinates of all 6 atoms:
1 Cu 0.212 0.209 0.084
2 Cu 0.788 0.791 0.916
3 Si 0.340 0.345 0.807
4 Si 0.660 0.655 0.193
5 H 0.500 0.097 0.501
6 H 0.500 0.903 0.499


(1)
Material: Be4TlSb3O12
Method: DFT, GGA-PBE
State: optimized geometry

**Total magnetic moment**: 0.0 Bohr magnetons per cell
**Raw total energy**: -6.225 eV/atom
**Raw formation energy**: -1.77 eV/atom
**Mass density**: 5.6 Mg/m³
**Space-group type**: R32, No. 155

a b c (Å): 6.464 6.464 6.464
angles (deg): 104.60 104.60 104.60
Element x y z (fractional)
Be (0.938, 0.062, 0.500)
Be (0.062, 0.500, 0.938)
Be (0.500, 0.938, 0.062)
Be (0.500, 0.500, 0.500)
Tl (0.000, 0.000, 0.000)
Sb (0.553, 0.447, 0.000)
Sb (0.447, 0.000, 0.553)
Sb (0.000, 0.553, 0.447)
O (0.500, 0.345, 0.655)
O (0.902, 0.500, 0.098)
O (0.098, 0.902, 0.500)
O (0.500, 0.098, 0.902)
O (0.389, 0.988, 0.242)
O (0.242, 0.389, 0.988)
O (0.988, 0.242, 0.389)
O (0.611, 0.758, 0.012)
O (0.012, 0.611, 0.758)
O (0.758, 0.012, 0.611)
O (0.655, 0.500, 0.345)
O (0.345, 0.655, 0.500)



(2)
Material: Ho6HgOs
Method: DFT, GGA-PBE
State: optimized geometry

**DFT formation energy**: -0.034 eV per atom
**Total magnetic moment**: 0.0 Bohr magnetons per cell
**Raw total energy**: -4.909 eV/atom
**DOS at the Fermi energy**: 10.05 states/eV/f.u.
**Mass density**: 9.0 Mg/m³
**Space-group type**: P-1, No. 2

a b c (Å): 6.802 6.811 7.473
angles (deg): 62.99 63.04 60.04
Element x y z (fractional)
Ho (0.047, 0.418, 0.757)
Ho (0.777, 0.047, 0.757)
Ho (0.582, 0.223, 0.243)
Ho (0.223, 0.953, 0.243)
Ho (0.953, 0.582, 0.243)
Ho (0.418, 0.777, 0.757)
Hg (0.500, 0.500, 0.500)
Os (0.000, 0.000, 0.000)



(3)
Material: Ta2OsRh2
Method: DFT, GGA-PBE
State: optimized geometry

**DFT formation energy**: -0.138 eV per atom
**Total magnetic moment**: 0.0 Bohr magnetons per cell
**Raw total energy**: -10.065 eV/atom
**DOS at the Fermi energy**: 5.89 states/eV/f.u.
**Mass density**: 15.6 Mg/m³
**Space-group type**: P4/mbm, No. 127

a b c (Å): 7.213 7.213 3.103
angles (deg): 90.00 90.00 90.00
Element x y z (fractional)
Rh (0.372, 0.872, 0.000)
Rh (0.872, 0.628, 0.000)
Rh (0.628, 0.128, 0.000)
Rh (0.128, 0.372, 0.000)
Os (0.000, 0.000, 0.000)
Os (0.500, 0.500, 0.000)
Ta (0.176, 0.676, 0.500)
Ta (0.676, 0.824, 0.500)
Ta (0.824, 0.324, 0.500)
Ta (0.324, 0.176, 0.500)


# Pr2Al4Ir3Rh

A geometry-optimized Pr2Al4Ir3Rh structure (PBE, the Alexandria database).

Cell: 4.2963 4.2963 10.2292 Å, 90.00 90.00 90.00°
Last column: nearest neighbours and their distance in Å.
Space group P-4m2 (No. 115)
Asymmetric unit:
Pr 0.0000 0.5000 0.2412  2 Rh 3.27, 6 Ir 3.27-3.30, 8 Al 3.28-3.41
Al 0.0000 0.0000 0.5000  4 Ir 2.54
Al 0.0000 0.5000 0.8800  3 Ir 2.47-2.53, 2 Rh 2.47
Al 0.5000 0.5000 0.5000  4 Ir 2.54
Ir 0.0000 0.0000 0.0000  4 Al 2.47
Ir 0.0000 0.5000 0.6331  5 Al 2.53-2.54
Rh 0.5000 0.5000 0.0000  4 Al 2.47

energy	-6.73	eV per atom
magnetization	0.00	μB per formula unit
ΔH_f (0 K)	-0.88	eV per atom
calculated volume	188.8	Å³/cell


1.
{"formula": "MgCd2Au", "functional": "GGA-PBEsol", "state": "relaxed", "crystal_system": "monoclinic", "n_ef_per_ev_cell": 1.1, "magmom_total_mub_per_fu": 0.0, "ef_mev_per_atom": -241, "total_energy_ev_per_atom": -2.2494, "cell": [[-1.877, -1.069, -3.595], [-1.024, -3.787, 1.661], [-2.154, 4.042, 2.369]], "species": ["Cd", "Mg", "Au", "Cd"], "fractional_positions": [[0.249, 0.249, 0.498], [0.000, 0.500, 0.000], [0.500, 0.000, 0.000], [0.751, 0.751, 0.502]]}

=====

2.
└──
Search the calculation results further up for the word "Be" and transcribe each line that has it.
Be (0.938, 0.062, 0.500)
Be (0.062, 0.500, 0.938)
Be (0.500, 0.938, 0.062)
Be (0.500, 0.500, 0.500)